Entries
********
1.
# BiSO6, relaxed, DFT GGA-PBE
data_BiSO6
_space_group_name_H-M_alt 'P 1 21/c 1'
_space_group_IT_number 14
_cell_length_a 6.2701
_cell_length_b 16.4166
_cell_length_c 7.5897
_cell_angle_alpha 90.00
_cell_angle_beta 126.47
_cell_angle_gamma 90.00
loop_
_space_group_symop_operation_xyz
'x,y,z'
'-x,-y,-z'
'-x,y+1/2,-z+1/2'
'x,-y+1/2,z+1/2'
loop_
_atom_site_label
_atom_site_fract_x
_atom_site_fract_y
_atom_site_fract_z
Bi1 0.1029 0.1792 0.3433
S1 0.4225 0.6725 0.6155
O1 0.0368 0.5257 0.9639
O2 0.2076 0.7360 0.5273
O3 0.2317 0.0982 0.2082
O4 0.3224 0.6117 0.4373
O5 0.3235 0.2108 0.8230
O6 0.4839 0.6350 0.8194
# - Magnetic moment: 8.0 Bohr magnetons per cell
# - E_form: -7.8 eV per formula unit

2.
# Bi2S6O21, relaxed, DFT GGA-PBE
data_Bi2S6O21
_space_group_name_H-M_alt 'P -1'
_space_group_IT_number 2
_cell_length_a 6.7113
_cell_length_b 10.3610
_cell_length_c 11.8046
_cell_angle_alpha 91.02
_cell_angle_beta 96.79
_cell_angle_gamma 94.88
loop_
_space_group_symop_operation_xyz
'x,y,z'
'-x,-y,-z'
loop_
_atom_site_label
_atom_site_fract_x
_atom_site_fract_y
_atom_site_fract_z
Bi1 0.0766 0.0927 0.2640
Bi2 0.3345 0.4140 0.7211
S1 0.0825 0.8120 0.4511
S2 0.1354 0.4453 0.2363
S3 0.1740 0.1680 0.9306
S4 0.2087 0.6710 0.9065
S5 0.4269 0.0710 0.7756
S6 0.4604 0.7015 0.5399
O1 0.0001 0.0892 0.8701
O2 0.0094 0.5067 0.6930
O3 0.0170 0.4208 0.1096
O4 0.0346 0.8050 0.5684
O5 0.0721 0.2487 0.6344
O6 0.1598 0.9413 0.4193
O7 0.1798 0.7776 0.8267
O8 0.1857 0.1677 0.0530
O9 0.2068 0.3215 0.2732
O10 0.2088 0.2971 0.8841
O11 0.2343 0.7057 0.0249
O12 0.2428 0.0088 0.7094
O13 0.2627 0.7187 0.4421
O14 0.3008 0.5411 0.2198
O15 0.3504 0.5821 0.8709
O16 0.3721 0.0897 0.9070
O17 0.3754 0.6242 0.6277
O18 0.4096 0.0108 0.2075
O19 0.4208 0.3721 0.5305
O20 0.4530 0.1704 0.4232
O21 0.4825 0.2003 0.7361
# - E_form: -51.3 eV per formula unit

3.
# Bi2S3O12, relaxed, DFT GGA-PBE
data_Bi2S3O12
_space_group_name_H-M_alt 'P b c a'
_space_group_IT_number 61
_cell_length_a 9.2033
_cell_length_b 9.3534
_cell_length_c 25.7554
_cell_angle_alpha 90.00
_cell_angle_beta 90.00
_cell_angle_gamma 90.00
loop_
_space_group_symop_operation_xyz
'x,y,z'
'-x,-y,-z'
'-x+1/2,-y,z+1/2'
'x+1/2,y,-z+1/2'
'x+1/2,-y+1/2,-z'
'-x+1/2,y+1/2,z'
'-x,y+1/2,-z+1/2'
'x,-y+1/2,z+1/2'
loop_
_atom_site_label
_atom_site_fract_x
_atom_site_fract_y
_atom_site_fract_z
Bi1 0.9999 0.1055 0.0651
Bi2 0.0053 0.2001 0.3199
S1 0.1454 0.5534 0.2973
S2 0.1483 0.2411 0.4497
S3 0.1930 0.0888 0.6159
O1 0.0663 0.1157 0.4630
O2 0.0854 0.0842 0.7778
O3 0.0847 0.1237 0.9775
O4 0.0929 0.5822 0.3508
O5 0.0960 0.1812 0.5838
O6 0.0991 0.6737 0.2630
O7 0.1019 0.0154 0.6554
O8 0.1447 0.2217 0.8928
O9 0.1922 0.0443 0.2970
O10 0.1956 0.6765 0.6426
O11 0.1958 0.7362 0.4667
O12 0.2379 0.0169 0.0806
# - Magnetic moment: 0.0 Bohr magnetons per cell
# - E_form: -31.1 eV per formula unit

4.
# Bi2S2O, relaxed, DFT GGA-PBE
data_Bi2S2O
_space_group_name_H-M_alt 'P 4/n m m'
_space_group_IT_number 129
_cell_length_a 3.9787
_cell_length_b 3.9787
_cell_length_c 14.2327
_cell_angle_alpha 90.00
_cell_angle_beta 90.00
_cell_angle_gamma 90.00
loop_
_space_group_symop_operation_xyz
'x,y,z'
'-x,-y,-z'
'-y+1/2,x,z'
'y+1/2,-x,-z'
'-x+1/2,-y+1/2,z'
'x+1/2,y+1/2,-z'
'y,-x+1/2,z'
'-y,x+1/2,-z'
'x+1/2,-y,-z'
'-x+1/2,y,z'
'-y,-x,-z'
'y,x,z'
'-x,y+1/2,-z'
'x,-y+1/2,z'
'y+1/2,x+1/2,-z'
'-y+1/2,-x+1/2,z'
loop_
_atom_site_label
_atom_site_fract_x
_atom_site_fract_y
_atom_site_fract_z
Bi1 0.2500 0.2500 0.0895
Bi2 0.2500 0.2500 0.6337
S1 0.2500 0.2500 0.3943
S2 0.2500 0.2500 0.8121
O1 0.2500 0.7500 0.0000
# - E_form: -5.0 eV per formula unit

5.
# Bi2S3O12, relaxed, DFT GGA-PBE
data_Bi2S3O12
_space_group_name_H-M_alt 'R -3'
_space_group_IT_number 148
_space_group_name_Hall '-R 3'
_cell_length_a 9.1458
_cell_length_b 9.1458
_cell_length_c 24.6595
_cell_angle_alpha 90.00
_cell_angle_beta 90.00
_cell_angle_gamma 120.00
loop_
_atom_site_label
_atom_site_fract_x
_atom_site_fract_y
_atom_site_fract_z
Bi1 0.0000 0.0000 0.1436
Bi2 0.0000 0.0000 0.3486
********

Work order
Quote the calculation results above without additions.

Worked solution
1.
# BiSO6, relaxed, DFT GGA-PBE
data_BiSO6
_space_group_name_H-M_alt 'P 1 21/c 1'
_space_group_IT_number 14
_cell_length_a 6.2701
_cell_length_b 16.4166
_cell_length_c 7.5897
_cell_angle_alpha 90.00
_cell_angle_beta 126.47
_cell_angle_gamma 90.00
loop_
_space_group_symop_operation_xyz
'x,y,z'
'-x,-y,-z'
'-x,y+1/2,-z+1/2'
'x,-y+1/2,z+1/2'
loop_
_atom_site_label
_atom_site_fract_x
_atom_site_fract_y
_atom_site_fract_z
Bi1 0.1029 0.1792 0.3433
S1 0.4225 0.6725 0.6155
O1 0.0368 0.5257 0.9639
O2 0.2076 0.7360 0.5273
O3 0.2317 0.0982 0.2082
O4 0.3224 0.6117 0.4373
O5 0.3235 0.2108 0.8230
O6 0.4839 0.6350 0.8194
# - Magnetic moment: 8.0 Bohr magnetons per cell
# - E_form: -7.8 eV per formula unit

2.
# Bi2S6O21, relaxed, DFT GGA-PBE
data_Bi2S6O21
_space_group_name_H-M_alt 'P -1'
_space_group_IT_number 2
_cell_length_a 6.7113
_cell_length_b 10.3610
_cell_length_c 11.8046
_cell_angle_alpha 91.02
_cell_angle_beta 96.79
_cell_angle_gamma 94.88
loop_
_space_group_symop_operation_xyz
'x,y,z'
'-x,-y,-z'
loop_
_atom_site_label
_atom_site_fract_x
_atom_site_fract_y
_atom_site_fract_z
Bi1 0.0766 0.0927 0.2640
Bi2 0.3345 0.4140 0.7211
S1 0.0825 0.8120 0.4511
S2 0.1354 0.4453 0.2363
S3 0.1740 0.1680 0.9306
S4 0.2087 0.6710 0.9065
S5 0.4269 0.0710 0.7756
S6 0.4604 0.7015 0.5399
O1 0.0001 0.0892 0.8701
O2 0.0094 0.5067 0.6930
O3 0.0170 0.4208 0.1096
O4 0.0346 0.8050 0.5684
O5 0.0721 0.2487 0.6344
O6 0.1598 0.9413 0.4193
O7 0.1798 0.7776 0.8267
O8 0.1857 0.1677 0.0530
O9 0.2068 0.3215 0.2732
O10 0.2088 0.2971 0.8841
O11 0.2343 0.7057 0.0249
O12 0.2428 0.0088 0.7094
O13 0.2627 0.7187 0.4421
O14 0.3008 0.5411 0.2198
O15 0.3504 0.5821 0.8709
O16 0.3721 0.0897 0.9070
O17 0.3754 0.6242 0.6277
O18 0.4096 0.0108 0.2075
O19 0.4208 0.3721 0.5305
O20 0.4530 0.1704 0.4232
O21 0.4825 0.2003 0.7361
# - E_form: -51.3 eV per formula unit

3.
# Bi2S3O12, relaxed, DFT GGA-PBE
data_Bi2S3O12
_space_group_name_H-M_alt 'P b c a'
_space_group_IT_number 61
_cell_length_a 9.2033
_cell_length_b 9.3534
_cell_length_c 25.7554
_cell_angle_alpha 90.00
_cell_angle_beta 90.00
_cell_angle_gamma 90.00
loop_
_space_group_symop_operation_xyz
'x,y,z'
'-x,-y,-z'
'-x+1/2,-y,z+1/2'
'x+1/2,y,-z+1/2'
'x+1/2,-y+1/2,-z'
'-x+1/2,y+1/2,z'
'-x,y+1/2,-z+1/2'
'x,-y+1/2,z+1/2'
loop_
_atom_site_label
_atom_site_fract_x
_atom_site_fract_y
_atom_site_fract_z
Bi1 0.9999 0.1055 0.0651
Bi2 0.0053 0.2001 0.3199
S1 0.1454 0.5534 0.2973
S2 0.1483 0.2411 0.4497
S3 0.1930 0.0888 0.6159
O1 0.0663 0.1157 0.4630
O2 0.0854 0.0842 0.7778
O3 0.0847 0.1237 0.9775
O4 0.0929 0.5822 0.3508
O5 0.0960 0.1812 0.5838
O6 0.0991 0.6737 0.2630
O7 0.1019 0.0154 0.6554
O8 0.1447 0.2217 0.8928
O9 0.1922 0.0443 0.2970
O10 0.1956 0.6765 0.6426
O11 0.1958 0.7362 0.4667
O12 0.2379 0.0169 0.0806
# - Magnetic moment: 0.0 Bohr magnetons per cell
# - E_form: -31.1 eV per formula unit

4.
# Bi2S2O, relaxed, DFT GGA-PBE
data_Bi2S2O
_space_group_name_H-M_alt 'P 4/n m m'
_space_group_IT_number 129
_cell_length_a 3.9787
_cell_length_b 3.9787
_cell_length_c 14.2327
_cell_angle_alpha 90.00
_cell_angle_beta 90.00
_cell_angle_gamma 90.00
loop_
_space_group_symop_operation_xyz
'x,y,z'
'-x,-y,-z'
'-y+1/2,x,z'
'y+1/2,-x,-z'
'-x+1/2,-y+1/2,z'
'x+1/2,y+1/2,-z'
'y,-x+1/2,z'
'-y,x+1/2,-z'
'x+1/2,-y,-z'
'-x+1/2,y,z'
'-y,-x,-z'
'y,x,z'
'-x,y+1/2,-z'
'x,-y+1/2,z'
'y+1/2,x+1/2,-z'
'-y+1/2,-x+1/2,z'
loop_
_atom_site_label
_atom_site_fract_x
_atom_site_fract_y
_atom_site_fract_z
Bi1 0.2500 0.2500 0.0895
Bi2 0.2500 0.2500 0.6337
S1 0.2500 0.2500 0.3943
S2 0.2500 0.2500 0.8121
O1 0.2500 0.7500 0.0000
# - E_form: -5.0 eV per formula unit

5.
# Bi2S3O12, relaxed, DFT GGA-PBE
data_Bi2S3O12
_space_group_name_H-M_alt 'R -3'
_space_group_IT_number 148
_space_group_name_Hall '-R 3'
_cell_length_a 9.1458
_cell_length_b 9.1458
_cell_length_c 24.6595
_cell_angle_alpha 90.00
_cell_angle_beta 90.00
_cell_angle_gamma 120.00
loop_
_atom_site_label
_atom_site_fract_x
_atom_site_fract_y
_atom_site_fract_z
Bi1 0.0000 0.0000 0.1436
Bi2 0.0000 0.0000 0.3486